- 1
Unable to install
#125 opened by sjurgis - 0
Getting the following error when trying to download analytics datasets.
#124 opened by claytonaphillips1 - 0
- 0
- 0
[Enhancement] shane:object:casesafeid
#111 opened by hackbac - 0
ENOENT: no such file or directory, open '/home/runner/.cache/sfdx/yarn/v6/npm-colors-1.4.2
#110 opened by sakkukasetty - 0
- 1
- 0
shane:github:src:install doesn't return a non-zero exit code when deployment fails
#104 opened by daveespo - 0
shane:analytics:dataset:list & shane:analytics:dataset:download don't see all Dataset (only first page)
#101 opened by jeanfrancoisbea - 0
- 2
- 0
Autoremove special symbols like question mark ("?") from label when creating an API Name like this is done in the SF UI.
#91 opened by Patlatus - 11
- 3
Simple Heroku Login
#86 opened by jandolina - 1
NetworkSelfRegistration by acct/community names
#41 opened by mshanemc - 0
object create time fields
#75 opened by mshanemc - 2
How do you create lookup fields?
#72 opened by hamayounCS - 0
Using shane:analytics:dataset:upload give error
### Here the piece breaks off for records of crystals
- - -
1.
Here is a geometry-optimized Pm12SbC4 structure from Alexandria via LeMat-Bulk. Energies are from PBE.

Output
space group = Im-3 (204)
density of states at the Fermi level = 17.5 states/eV/f.u.
raw formation energy = -0.070 eV/atom

```
17
Lattice="-7.581 3.590 1.120 -0.648 -8.364 1.109 5.480 3.173 5.613" Properties=species:S:1:pos:R:3 pbc="T T T"
Pm -2.165 1.183 2.469
Pm -0.584 -2.784 5.372
Pm -1.620 -2.419 1.925
Pm 0.233 -5.414 2.754
Pm -3.836 -1.267 4.542
Pm -4.820 -4.276 2.792
Pm 2.072 2.675 5.050
Pm 2.967 -2.353 5.914
Pm 1.088 -0.334 3.300
Pm -5.716 0.752 1.927
Pm -1.129 0.818 5.917
Pm -2.981 3.813 5.088
C -1.374 -0.800 3.921
C -0.324 -4.182 0.555
C -3.790 1.795 0.560
C 2.740 1.587 2.806
Sb 0.000 0.000 0.000
```



2.
Here is a geometry-optimized Pm6Sb2C structure from Alexandria via LeMat-Bulk. Energies are from PBE.

Output
space group = Amm2 (38)
density of states at the Fermi level = 11.4 states/eV/f.u.
raw formation energy = -0.437 eV/atom

```
9
Lattice="4.006 0.000 0.000 0.000 8.428 0.000 0.000 -4.214 7.297" Properties=species:S:1:pos:R:3 pbc="T T T"
Pm 0.000 3.264 5.654
Pm 2.003 5.947 4.293
Pm 2.003 4.957 0.000
Pm 2.003 1.734 3.004
Pm 0.000 7.478 1.643
Pm 0.000 1.900 0.000
Sb 0.000 4.213 2.433
Sb 0.000 -0.001 4.864
C 2.003 0.005 0.000
```



3.
Here is a geometry-optimized Pm3SbC structure from Alexandria via LeMat-Bulk. Energies are from PBE.

Output
space group = Pm-3m (221)
density of states at the Fermi level = 2.8 states/eV/f.u.
raw formation energy = -0.544 eV/atom
distance to the lowest polymorph of the same formula = 0.062 eV per atom

```
5
Lattice="-4.014 -2.096 2.203 3.011 -2.235 3.361 -0.422 3.996 3.035" Properties=species:S:1:pos:R:3 pbc="T T T"
Pm 1.506 -1.117 1.681
Pm -2.007 -1.048 1.101
Pm -0.211 1.998 1.517
Sb -0.712 -0.167 4.299
C 0.000 0.000 0.000
```



4.
Here is a geometry-optimized Pm4SbC structure from Alexandria via LeMat-Bulk. Energies are from PBE.

Output
space group = P-1 (2)
density of states at the Fermi level = 6.2 states/eV/f.u.
raw formation energy = -0.372 eV/atom

```
12
Lattice="6.211 0.002 0.000 0.002 7.414 0.454 -3.106 -2.614 6.953" Properties=species:S:1:pos:R:3 pbc="T T T"
Sb 2.306 2.947 7.291
Sb 0.801 1.855 0.116
Pm 2.559 6.543 1.760
Pm 0.411 4.027 2.879
Pm 3.660 2.836 1.529
Pm 0.548 -1.741 5.647
Pm 3.517 4.483 4.755
Pm -0.410 0.318 2.651
Pm -0.553 1.966 5.878
Pm 2.696 0.775 4.528
C -1.552 2.400 3.703
C 1.552 -1.306 3.476
```



5.
Here is a geometry-optimized Pm12Sb6C structure from Alexandria via LeMat-Bulk. Energies are from PBE.

Output
space group = R-3 (148)
density of states at the Fermi level = 15.7 states/eV/f.u.
raw formation energy = -0.672 eV/atom

```
19
Lattice="8.633 -0.024 -0.029 -1.333 8.530 -0.029 -1.333 -1.553 8.387" Properties=species:S:1:pos:R:3 pbc="T T T"
Sb 6.196 1.931 5.838
Sb 0.969 4.598 7.357
Sb -0.229 5.022 2.490
Sb 4.398 6.943 2.943
Sb 1.570 0.009 5.386
Sb 4.998 2.355 0.972
Pm 2.018 5.983 4.793
Pm 8.101 2.438 0.482
Pm -2.134 4.515 7.847
Pm 5.608 4.198 3.712
- - -
### Here the piece continues
#77 opened by ttse-sfdc - 1
- 0
throw on org:create when not status 0
#69 opened by mshanemc - 0
Unrelated to this piece: materials data:
Record 1
An optimized crystal structure of Zr2Si3Pt5, computed with PBE.

Unit cell a=4.1588 b=23.1641 c=6.7210 alpha=90.00 beta=90.00 gamma=90.00
Space group Cmc2_1 (No. 36)
One atom of each set of equivalent atoms:
Zr1 0.0000 0.0215 0.0000
Zr2 0.0000 0.3254 0.9729
Si1 0.0000 0.1040 0.3174
Si2 0.0000 0.2766 0.4106
Si3 0.0000 0.4498 0.1901
Pt1 0.0000 0.1074 0.6837
Pt2 0.0000 0.1940 0.1363
Pt3 0.0000 0.2253 0.7186
Pt4 0.0000 0.3805 0.4716
Pt5 0.0000 0.4501 0.8066

ΔE_f (raw) = -946 meV per atom
N(E_F) = 16.96 states/eV per cell
spin magnetization = 0.0000 μB/atom
total energy = -292.132 eV per cell

---

Record 2
An optimized crystal structure of ZrSiPt4, computed with PBE.

Unit cell a=7.4615 b=7.4615 c=7.4615 alpha=90.00 beta=90.00 gamma=90.00
Space group F-43m (No. 216)
One atom of each set of equivalent atoms:
Zr1 0.0000 0.0000 0.0000
Si1 0.2500 0.2500 0.7500
Pt1 0.1251 0.1251 0.3749

ΔE_f (raw) = -363 meV per atom
N(E_F) = 4.86 states/eV per cell
spin magnetization = 0.0000 μB/atom
total energy = -161.257 eV per cell

---

Record 3
An optimized crystal structure of Zr2Si2Pt, computed with PBE.

Unit cell a=6.4196 b=6.4196 c=4.1308 alpha=90.00 beta=90.00 gamma=90.00
Space group P4/mbm (No. 127)
One atom of each set of equivalent atoms:
Zr1 0.1712 0.3288 0.0000
Si1 0.1307 0.6307 0.5000
Pt1 0.0000 0.0000 0.5000

ΔE_f (raw) = -1027 meV per atom
N(E_F) = 3.81 states/eV per cell
spin magnetization = 0.0000 μB/atom
total energy = -78.237 eV per cell

---

Record 4
An optimized crystal structure of Zr2Si2Pt, computed with PBE.

Unit cell a=4.2551 b=4.2551 c=10.8962 alpha=90.00 beta=90.00 gamma=90.00
Space group I4/mmm (No. 139)
One atom of each set of equivalent atoms:
Zr1 0.0000 0.5000 0.2500
Si1 0.0000 0.0000 0.0993
Pt1 0.0000 0.0000 0.5000

ΔE_f (raw) = 74 meV per atom
N(E_F) = 14.20 states/eV per cell
spin magnetization = 0.0000 μB/atom
total energy = -67.227 eV per cell

---

Record 5
An optimized crystal structure of ZrSiPt2, computed with PBE.

Unit cell a=3.2998 b=4.0209 c=5.3934 alpha=90.00 beta=90.00 gamma=90.00
Space group Pmmm (No. 47)
One atom of each set of equivalent atoms:
Zr1 0.0000 0.0000 0.0000
Si1 0.5000 0.0000 0.5000
Pt1 0.5000 0.5000 0.2471

ΔE_f (raw) = -810 meV per atom
N(E_F) = 2.36 states/eV per cell
spin magnetization = 0.0000 μB/atom
total energy = -29.291 eV per cell

---

Record 6
An optimized crystal structure of ZrSi2Pt2, computed with PBE.

Unit cell a=7.3191 b=7.3191 c=2.9453 alpha=90.00 beta=90.00 gamma=90.00
sfdx shane:connectedapp:attributes has incorrect description and could benefit from an example
#74 opened by RupertBarrow - 15
sfdx shane:mdapi:pull - Returning Object.keys(...).map(...).flat is not a function
#68 opened by ronyaoun - 11
Suggestions shane:object:field
#18 opened by JodieM - 0
Align Perms/Profiles doesn't strip field
#66 opened by papaflavaflave - 2
Hi Shane, currently have this issue while trying to install your plugin. Did you change something recently? Thank you
#61 opened by cverhaest - 0
generate package url button for readme
#58 opened by mshanemc - 0
generate deployer url button for readme
#57 opened by mshanemc - 4
Convert Profile to Permissionset and remove rights from Profile - Profile still contains all rights
#50 opened by stoevie - 1
- 2
- 2
Give access to standard objects
#52 opened by FabienTaillon - 1
deploy multiple packages in parallel
#45 opened by mshanemc - 3
Feature Request: Communities:Publish --all
#43 opened by aheber - 14
/*
A geometry-optimized CePF structure. Source: Alexandria, functional PBE. Values from VASP.

Quantum ESPRESSO input file:
```
&SYSTEM
  ibrav = 0, nat = 12, ntyp = 3
/
ATOMIC_SPECIES
Ce 140.12 Ce.upf
P 30.97 P.upf
F 19.00 F.upf
CELL_PARAMETERS angstrom
7.3578 0.0000 0.0000
0.0000 3.5696 0.0000
0.0000 0.0000 8.2973
ATOMIC_POSITIONS angstrom
Ce 0.8723 0.8924 1.7177
Ce 2.8066 2.6772 5.8664
Ce 4.5512 0.8924 2.4310
Ce 6.4855 2.6772 6.5796
P 0.5192 0.8924 4.7330
P 3.1597 2.6772 0.5844
P 4.1981 0.8924 7.7130
P 6.8386 2.6772 3.5643
F 0.6250 0.8924 7.5734
F 3.0539 2.6772 3.4247
F 4.3039 0.8924 4.8726
F 6.7328 2.6772 0.7239
```

E above lowest polymorph   106 kJ/mol of formula units
Total magnetization   4.1 Bohr magnetons per cell
Crystal system   orthorhombic
Formation energy from raw total energies   -1.9864 eV per atom



A geometry-optimized Ce2PF structure. Source: Alexandria, functional PBE. Values from VASP.

Quantum ESPRESSO input file:
```
&SYSTEM
  ibrav = 0, nat = 8, ntyp = 3
/
ATOMIC_SPECIES
Ce 140.12 Ce.upf
P 30.97 P.upf
F 19.00 F.upf
CELL_PARAMETERS angstrom
-2.7710 2.7710 5.4606
2.7710 -2.7710 5.4606
2.7710 2.7710 -5.4606
ATOMIC_POSITIONS angstrom
Ce 2.7710 1.3855 -1.4050
Ce 0.0000 1.3855 1.3253
Ce 2.7710 1.3855 4.1352
Ce 0.0000 1.3855 6.8655
P 2.7710 1.3855 1.3651
P 0.0000 1.3855 4.0954
F 2.7710 -1.3855 4.0954
F 0.0000 4.1565 1.3651
```

E above lowest polymorph   21 kJ/mol of formula units
Total magnetization   1.5 Bohr magnetons per cell
Crystal system   tetragonal
Formation energy from raw total energies   -1.9105 eV per atom



A geometry-optimized CePF structure. Source: Alexandria, functional PBE. Values from VASP.

Quantum ESPRESSO input file:
```
&SYSTEM
  ibrav = 0, nat = 3, ntyp = 3
/
ATOMIC_SPECIES
Ce 140.12 Ce.upf
P 30.97 P.upf
F 19.00 F.upf
CELL_PARAMETERS angstrom
0.0000 3.1564 3.1564
3.1564 0.0000 3.1564
3.1564 3.1564 0.0000
ATOMIC_POSITIONS angstrom
Ce 0.0000 0.0000 0.0000
P 4.7346 4.7346 4.7346
F 1.5782 1.5782 1.5782
```

E above lowest polymorph   107 kJ/mol of formula units
Total magnetization   0.0 Bohr magnetons per cell
Crystal system   cubic
Formation energy from raw total energies   -1.9827 eV per atom



A geometry-optimized Ce2PF structure. Source: Alexandria, functional PBE. Values from VASP.

Quantum ESPRESSO input file:
```
&SYSTEM
  ibrav = 0, nat = 4, ntyp = 3
/
ATOMIC_SPECIES
Ce 140.12 Ce.upf
P 30.97 P.upf
F 19.00 F.upf
CELL_PARAMETERS angstrom
1.9283 1.1133 6.7065
-1.9283 1.1133 6.7065
0.0000 -2.2266 6.7065
ATOMIC_POSITIONS angstrom
Ce 0.0000 0.0000 0.0000
Ce 0.0000 0.0000 3.3905
P 0.0000 0.0000 11.7705
F 0.0000 0.0000 8.2816
```

E above lowest polymorph   50 kJ/mol of formula units
Total magnetization   2.1 Bohr magnetons per cell
Crystal system   trigonal
Formation energy from raw total energies   -1.8357 eV per atom



A geometry-optimized CePF structure. Source: Alexandria, functional PBE. Values from VASP.

Quantum ESPRESSO input file:
```
&SYSTEM
  ibrav = 0, nat = 3, ntyp = 3
/
ATOMIC_SPECIES
*/
Errors installing: incompatible module?
#16 opened by camisotro - 8
Win10: TypeError running user password set
#39 opened by Szandor72 - 1
start analytics dataflow via rest api
#38 opened by mshanemc - 1
- 1
assign permset by name of user
#34 opened by mshanemc - 1
does the plugin also support github enterprise?
#32 opened by Stwissel - 1
Mismatched version warning
#30 opened by hotcher2 - 0
- 0
🚸 Improvement: Grab the value for the default source directory from the sfdx project file instead
#28 opened by e02d96ec16 - 2
- 8
Issue trying to install version 3.2.0
#22 opened by AltiusRupert - 1
"shane:mdapi:pull" fails on metadata with single folder. Error "folderListMetadata is not iterable"
#23 opened by arbackhouse - 1
Flag error on shane:mdapi:pull
#20 opened by dmrx - 2
"unzip" fails on Windows
#17 opened by camisotro - 1
new command: ui-api mock data grabber
#13 opened by mshanemc - 0
new command: generate login url
#12 opened by mshanemc